Color Carnival: Pastel Art Courses for a Colorful Journey

If colors could be music, then pastels are the perfect way to create a symphony. Imagine: vivid sticks of chalk ready to slide across the paper. This abstract pastel painting will transform your imagination into an explosion of colors. The world of pastels is here.

A pastel painting class is like walking into a magical world, where every piece tells a story and colors dance. Imagine an eager room full of learners – from teenaged artists still searching for their style to elders with gray hairs who are rediscovering the joy. All have a single goal in mind: unleashing the power colors.

Tony is an ex-teacher with a love of storytelling. It was like discovering hidden treasure in an attic of memories. Tony took up a pastel class to “see how it worked.” Tony has created colorful paintings of his own creations that are displayed in his grandchildren’s room.

What comes next are crystal structures, not part of the article:
~~~
No. 1
Here is a geometry-optimized Ba2Tl4CdPb2 structure from Alexandria via LeMat-Bulk. Energies are from PBE-GGA.

a = 7.5874 Å, b = 7.5874 Å, c = 7.5874 Å
α = 90.12°, β = 119.93°, γ = 119.93°
With the nearest neighbours (Å) after each atom.
Fractional positions:
Tl 0.4315 0.7158 0.7158  1 Cd 3.05, 2 Tl 3.28, 2 Pb 3.31
Cd 0.0000 0.0000 0.0000  2 Pb 3.00, 4 Tl 3.05
Pb 0.0000 0.2796 0.2796  1 Cd 3.00, 4 Tl 3.31
Tl 0.5685 0.2842 0.2842  1 Cd 3.05, 2 Tl 3.28, 2 Pb 3.31
Tl 0.0000 0.2842 0.7158  1 Cd 3.05, 2 Tl 3.28, 2 Pb 3.31
Ba 0.5000 0.7500 0.2500  4 Pb 3.81, 8 Tl 3.81
Pb 0.0000 0.7204 0.7204  1 Cd 3.00, 4 Tl 3.31
Tl 0.0000 0.7158 0.2842  1 Cd 3.05, 2 Tl 3.28, 2 Pb 3.31
Ba 0.5000 0.2500 0.7500  4 Pb 3.81, 8 Tl 3.81

Values from the calculation:
As for the energy relative to the elements: -255 meV per atom.

***

No. 2
Here is a geometry-optimized Pm6Nd2Y3Th structure from Alexandria via LeMat-Bulk. Energies are from PBE-GGA.

a = 6.2952 Å, b = 6.2952 Å, c = 12.0339 Å
α = 95.00°, β = 95.00°, γ = 119.95°
With the nearest neighbours (Å) after each atom.
Fractional positions:
Pm 0.0841 0.4133 0.2505  6 Pm 3.59-3.66, 3 Y 3.62-3.64, 1 Th 3.62, 2 Nd 3.64-3.65
Y 0.1668 0.8332 0.5000  6 Pm 3.62-3.64, 6 Y 3.63-3.64
Pm 0.9159 0.5867 0.7495  6 Pm 3.59-3.66, 3 Y 3.62-3.64, 1 Th 3.62, 2 Nd 3.64-3.65
Y 0.5000 0.5000 0.5000  6 Pm 3.62-3.64, 6 Y 3.63-3.64
Th 0.0000 0.0000 0.0000  6 Pm 3.62, 6 Nd 3.64
Y 0.8332 0.1668 0.5000  6 Pm 3.62-3.64, 6 Y 3.63-3.64
Pm 0.5867 0.9159 0.7495  6 Pm 3.59-3.66, 3 Y 3.62-3.64, 1 Th 3.62, 2 Nd 3.64-3.65
Nd 0.3336 0.6664 0.0000  3 Nd 3.63-3.64, 3 Th 3.64, 6 Pm 3.64-3.65
Nd 0.6664 0.3336 0.0000  3 Nd 3.63-3.64, 3 Th 3.64, 6 Pm 3.64-3.65
Pm 0.4133 0.0841 0.2505  6 Pm 3.59-3.66, 3 Y 3.62-3.64, 1 Th 3.62, 2 Nd 3.64-3.65
Pm 0.7551 0.7551 0.2505  6 Pm 3.59-3.66, 3 Y 3.62-3.64, 1 Th 3.62, 2 Nd 3.64
Pm 0.2449 0.2449 0.7495  6 Pm 3.59-3.66, 3 Y 3.62-3.64, 1 Th 3.62, 2 Nd 3.64

Values from the calculation:
As for the energy relative to the elements: 32 meV per atom.

***

No. 3
Here is a geometry-optimized K3NbRh2Se6 structure from Alexandria via LeMat-Bulk. Energies are from PBE-GGA.

a = 6.8060 Å, b = 6.8060 Å, c = 7.6259 Å
α = 98.58°, β = 98.58°, γ = 119.82°
With the nearest neighbours (Å) after each atom.
Fractional positions:
K 0.5000 0.5000 0.5000  6 Se 3.22-3.29
Rh 0.3331 0.6669 0.0000  6 Se 2.57-2.58
Se 0.0597 0.4042 0.1770  2 Rh 2.58, 1 Nb 2.68
Nb 0.0000 0.0000 0.0000  6 Se 2.68
Se 0.9403 0.5958 0.8230  2 Rh 2.58, 1 Nb 2.68
Se 0.2865 0.2865 0.8242  2 Rh 2.57, 1 Nb 2.68
Rh 0.6669 0.3331 0.0000  6 Se 2.57-2.58
Se 0.7135 0.7135 0.1758  2 Rh 2.57, 1 Nb 2.68
K 0.1639 0.8361 0.5000  6 Se 3.23-3.30
K 0.8361 0.1639 0.5000  6 Se 3.23-3.30
Se 0.4042 0.0597 0.1770  2 Rh 2.58, 1 Nb 2.68
Se 0.5958 0.9403 0.8230  2 Rh 2.58, 1 Nb 2.68

Values from the calculation:
The formation energy without anion corrections comes out at -0.720 eV per atom.

***

No. 4
~~~

The techniques are varied and each adds its own magic. The words you will learn, such as blending, scrumbling and feathering sound just like passwords for an artist guild. The textures they produce are unlike any other. The amateurish act of smudging the paint with fingernails adds personalization. You’re leaving your signature in the picture itself.

Your environment plays a role in your creativity. Imagine yourself standing next to a water body and painting the reflections. Imagine painting clouds inside during a rainstorm or even indoors. Setting can inspire you and add layers to your artwork. Pastel enthusiasts can connect through online courses.

== These materials data were left in the piece by mistake ==
<<<
Record 1
A geometry-optimized ZnFe2WO6 structure. Source: Alexandria via LeMat-Bulk, functional PBE with a Hubbard U.

Unit cell a=5.2570 b=5.2934 c=5.5605 alpha=113.09 beta=95.23 gamma=117.96
Fractional positions:
Zn  0.0000  0.0000  0.0000
Fe  0.2672  0.4963  0.7997
Fe  0.7764  0.5117  0.3189
W  0.4751  0.9179  0.4118
O  0.0874  0.7362  0.1216
O  0.2118  0.7080  0.5843
O  0.3814  0.4434  0.1365
O  0.5377  0.3296  0.6000
O  0.6782  0.0216  0.1505
O  0.8396  0.0009  0.6327

Calculated values
**Final energy**: -6.586 eV/atom
**Spin magnetization**: 8.0 μB per cell
**Theoretical density**: 6.41 g/cm³
**Symmetry**: P1 (1)



Record 2
A geometry-optimized YFe3O structure. Source: Alexandria via LeMat-Bulk, functional PBE with a Hubbard U.

Unit cell a=5.3468 b=5.3468 c=5.3468 alpha=90.00 beta=90.00 gamma=90.00
Fractional positions:
Y  0.0000  0.0000  0.0000
Fe  0.0000  0.0000  0.5000
Fe  0.0000  0.5000  0.0000
Fe  0.5000  0.0000  0.0000
O  0.5000  0.5000  0.5000

Calculated values
**Final energy**: -3.467 eV/atom
**Spin magnetization**: 11.0 μB per cell
**Theoretical density**: 2.96 g/cm³
**Energy relative to the lowest polymorph listed for this composition**: 2127 meV per atom
**Symmetry**: Pm-3m (221)



Record 3
A geometry-optimized YFeO2 structure. Source: Alexandria via LeMat-Bulk, functional PBE with a Hubbard U.

Unit cell a=6.2647 b=6.2647 c=6.2647 alpha=133.66 beta=133.66 gamma=67.62
Fractional positions:
Y  0.0000  0.0000  0.0000
Y  0.7500  0.2500  0.5000
Fe  0.2500  0.7500  0.5000
Fe  0.5000  0.5000  0.0000
O  0.1401  0.6250  0.0151
O  0.3750  0.3901  0.5151
O  0.6099  0.1250  0.9849
O  0.8750  0.8599  0.4849

Calculated values
**Final energy**: -7.485 eV/atom
**Spin magnetization**: 6.5 μB per cell
**Theoretical density**: 4.64 g/cm³
**Energy relative to the lowest polymorph listed for this composition**: 181 meV per atom
**Symmetry**: I-42d (122)

=====

Entry 1:
42
Lattice="-6.6858 -1.0749 2.2220 -2.6982 -1.9896 -9.0813 3.0724 -7.1116 5.8046" Properties=species:S:1:pos:R:3 comment="NaNd9Ge6O26, optimized geometry, DFT PBEsol" vol_a3_per_atom=13.8 magnetic_moment_mub_per_fu=0.0 e_tot_ev_per_atom=-7.81 pbc="T T T"
O -1.8018 -7.8268 -3.3876
O 0.1641 -6.9069 -1.6471
O 1.8456 -7.0262 3.3547
O -1.9244 -5.0545 -2.5169
O -2.5514 -2.4300 -3.1340
O -3.8340 -2.3596 -6.8577
O -2.3279 -6.9951 -0.5230
O -6.2171 -4.9011 0.5730
O -4.6397 -6.5423 -4.4168
O -0.3000 -5.6372 1.3242
O -7.8398 -2.2792 -3.0413
O -3.8313 -6.2049 2.4977
O -7.2643 -6.9646 -3.5762
O -5.6936 -3.0810 -1.4525
O -0.8330 -7.3529 3.8022
O 0.3837 -2.4490 1.1703
O -2.0488 -3.2565 2.1255
O -6.3625 -4.3773 -4.0922
O -5.3332 -6.0544 -1.8066
O -4.8773 -2.4378 1.3808
O -4.2708 -9.2930 -0.1106
O -2.8659 -4.4129 -5.0395
O -2.5283 -6.9133 6.2837
O -5.2248 -1.8854 -3.9245
O -1.7950 -1.7253 -0.4155
O -3.6105 -4.4558 -0.3108
Nd -3.9849 -4.0317 3.2273
Nd -1.2751 -4.0882 -0.0274
Nd -0.7800 -3.6978 -4.1176
Nd 0.0637 -5.1092 3.5072
Nd -4.4982 -6.7502 0.3678
Nd -4.1262 -4.2357 -3.0055
>>>

It’s not an easy task to select your weapons of pastel. They have a silky, velvety surface and their vibrant colors are luminous. The oil pastels on the other hand feel firm and strong, ideal for creating robust images. They are as different and yet equally charming. The art will be created if you let them lead your hand.

Art is the art of protecting past works without losing their essence. The fixative is the unsung superhero who keeps everything in place. To keep chaos away, spray a light mist to preserve the freshness of each color and line. Be careful not to overspray your artwork.

The classes do much more than simply teach. They spark passions and ignite relationships, while also bringing out the creativity in everyone. Imagine the thrill of painting a sunrise so vivid that you miss it as it disappears beyond the horizon. You can capture the heartbeat of a whole city by using just a few flicks.

In a pastel painting course, you discover yourself. You might think it is just about colors and techniques, but you’ll soon discover it’s so much more. This workshop invites you surrender to the whimsy of art, and to tell stories without words. The colors of the world create lasting memories. Every stroke will leave its imprint on your canvas.